Excerpted from The Biggest Legal Mistakes Physicians Make: And How to Avoid Them
Edited by Steven Babitsky, Esq. and James J. Mangraviti, Esq. (©2005 SEAK, Inc.)

Download Free 646 Page E-book: The Biggest Legal Mistakes Physicians Make and How to Avoid Them

Executive Summary

Under certain theories of liability, physicians may be held personally liable for the conduct of others or for forces beyond their immediate control. It is important for physicians to identify these potential risks and perform a comprehensive evaluation of them. Once the risk is identified, the practitioner can take affirmative steps to ensure that appropriate risk-management protocols are in place. Physicians can further protect themselves through education and supervision of those who pose potential risk.


Mistake 1        Failing to Perform an Appropriate Investigation Before Hiring Employees

Under the law, physicians can be held responsible for the negligent hiring of an employee. If they fail to conduct an adequate investigation, check references, and confirm credentials, physicians could be held liable for any negligence that may result from this lack of training and credentials. When hiring certified or licensed paraprofessionals, it is important for physicians to confirm the existence of the credentials. In addition, they should have protocols in place to monitor any recredentialing or continuing education requirements for their paraprofessionals.


Action Step     Physicians should develop an office protocol for investigating all candidates for employment positions. They should keep detailed personnel files, including continuing education requirements and compliance with those requirements.


Mistake 2        Failing to Adequately Supervise and Educate Employees

Under the theory of vicarious liability, physicians may be held responsible for the conduct of their employees in the performance of the employees’ job responsibilities. Consequently, it becomes important for physicians to be aware of each employee’s level of skill, training, and work experience. Physicians should ensure that training programs are in place if necessary. Additionally, steps should be taken to ensure that all employees are educated about any specific clinical aspects of the practice. Detailed personnel files should be kept in the event there is any question regarding an employee’s training or experience.


Action Step     Physicians should provide education for their employees when necessary and be aware of the skill level and conduct of their employees.

Mistake 3        Failing to Have Good Physician-Patient Relations

Many studies have shown that the breakdown in communication between the clinician and the patient increases the likelihood of a lawsuit. It is important not only for the physician, but also for all of the staff, to have a good bedside manner. Patients who respect the physician and staff are less likely to institute litigation. Physicians should ensure that their staff conducts itself in a fashion that is professional and compassionate. It is important to evaluate personalities of potential employees to determine if they fit into a physician’s clinical practice.

**Misplaced data records**
┌──
Here is a crystal of BaMg3 relaxed with PBEsol from the Alexandria database. Energies are from meta-GGA SCAN. Values from VASP.

Structure (Quantum ESPRESSO input):
```
&SYSTEM
  ibrav = 0, nat = 4, ntyp = 2
/
ATOMIC_SPECIES
Ba 137.33 Ba.upf
Mg 24.30 Mg.upf
ATOMIC_POSITIONS angstrom
Ba 0.0000 0.0000 0.1006
Mg 0.0000 2.6310 2.5460
Mg 1.7243 0.0000 3.4852
Mg 1.7243 2.6310 5.1647
CELL_PARAMETERS angstrom
3.4487 0.0000 0.0000
0.0000 5.2621 0.0000
0.0000 0.0000 6.7780
```

Here is a crystal of BaMg3 relaxed with PBEsol from the Alexandria database. Energies are from meta-GGA SCAN. Values from VASP.

Structure (Quantum ESPRESSO input):
```
&SYSTEM
  ibrav = 0, nat = 4, ntyp = 2
/
ATOMIC_SPECIES
Ba 137.33 Ba.upf
Mg 24.30 Mg.upf
ATOMIC_POSITIONS angstrom
Ba 0.0000 0.0000 0.0000
Mg 1.7322 1.0001 3.1321
Mg 3.4644 2.0001 5.6255
Mg 5.1965 3.0002 8.1189
CELL_PARAMETERS angstrom
3.4644 0.0000 0.0000
1.7322 3.0002 0.0000
1.7322 1.0001 11.2510
```

Here is a crystal of Ba5Mg4 relaxed with PBEsol from the Alexandria database. Energies are from meta-GGA SCAN. Values from VASP.

Structure (Quantum ESPRESSO input):
```
&SYSTEM
  ibrav = 0, nat = 18, ntyp = 2
/
ATOMIC_SPECIES
Mg 24.30 Mg.upf
Ba 137.33 Ba.upf
ATOMIC_POSITIONS angstrom
Mg 0.0000 0.0000 0.0000
Mg -0.9116 0.9233 -3.4994
Mg -2.0202 5.2241 -4.0661
Mg -4.4120 -1.3149 -5.1683
Mg -7.5844 3.3007 -3.1240
Mg -1.5534 6.9172 0.2395
Mg -5.5752 -4.0782 -1.6139
Mg -4.1531 1.6010 -0.4859
Ba -2.6037 8.6561 -3.0086
Ba -7.1335 -3.7284 -5.0961
Ba -4.2794 2.2823 -4.2537
Ba -0.9699 3.4853 -0.8180
Ba -2.8536 -1.6647 -1.6861
Ba -7.4581 2.6194 0.6438
Ba -3.8882 4.4500 2.1870
Ba -6.9377 -0.4716 -2.2976
Ba -6.0260 -1.3949 1.2018
Ba -4.7998 5.3733 -1.3124
CELL_PARAMETERS angstrom
-1.8233 1.8466 -6.9988
-8.1639 -7.2397 0.2166
-1.7503 10.2948 3.1722
```

Here is a crystal of BaMg3 relaxed with PBEsol from the Alexandria database. Energies are from meta-GGA SCAN. Values from VASP.

Structure (Quantum ESPRESSO input):
```
&SYSTEM
  ibrav = 0, nat = 4, ntyp = 2
/
ATOMIC_SPECIES
Ba 137.33 Ba.upf
Mg 24.30 Mg.upf
ATOMIC_POSITIONS angstrom
Ba 0.0000 0.0000 0.0000
Mg 0.0000 0.0000 4.3102
Mg 1.8656 1.8656 2.6269
Mg 1.8656 1.8656 5.9935
CELL_PARAMETERS angstrom
3.7312 0.0000 0.0000
0.0000 3.7312 0.0000
0.0000 0.0000 8.6204
```

| no. | raw total energy (eV per atom) | calculated formation energy (eV per atom) | M_tot (μB/cell) |
| --- | --- | --- | --- |
| 1 | -13.514 | 0.104 | 0.05 |
| 2 | -13.414 | 0.204 | 0.32 |
| 3 | -24.135 | 0.048 | 0.05 |
| 4 | -13.600 | 0.018 | 0.21 |


[1]
Below is crystalline PrYAl at its relaxed geometry, with properties calculated at the GGA-PBE level.

a b c (Å): 5.3900 5.3900 6.7146
angles (deg): 90.00 90.00 119.98
Closest atoms and distances in Å follow each position.
Fractional coordinates of all 6 atoms:
Pr  0.0000  0.5000  0.0000  2 Pr 3.36, 6 Al 3.53-3.54, 6 Y 3.54
Pr  0.0000  0.5000  0.5000  2 Pr 3.36, 6 Al 3.53-3.54, 6 Y 3.54
Y  0.6666  0.8334  0.7500  5 Al 3.11-3.36
└──


Action Step     Physicians should ensure that their staff has a good bedside manner.


Mistake 4        Failing to Maintain and Complete Records of Patient Contacts

From a legal perspective, the documentation of the health care being provided is as important as the rendition of the care itself. In a malpractice suit, the medical record is evidence and is often introduced to the jury and evaluated by members of the jury during deliberations. A comprehensive and chronological documentation of all care, contact, test results, and follow-up recommendations will act as the best defense in a medical malpractice case. It is important that staff members are instructed with regard to the significance of documentation. All patient contact should be documented in the medical record. Physicians should ensure that patients are thoroughly advised and that the medical record is an accurate description of every clinical interaction that occurred between the practitioner and the patient.


Action Step     Physicians should ensure that all staff adequately and accurately document all clinical contact with the patient.


Mistake 5        Failing to Adequately Inform Patients of Test and Procedure Results

Often, physicians do not provide sufficient information with respect to tests and procedures and the results that are reported to them. It is important for physicians to adequately explain the significance of any and all test results that are performed. They should thoroughly explain what course of action, if any, should be taken in light of the specific result. They should also provide thorough explanations of any medications and side effects as well as what the anticipated outcome of the clinical course of treatment should be. Physicians should make clear that care and treatment are an attempt to treat conditions and symptoms, but that there is no guarantee. Patients who have an informed understanding of their diagnosis, symptoms, and course of treatment will work together with the physician and not against the interests of the physician and his or her practice.


Action Step     Physicians should have protocols in place so that patients are advised of all test and procedure results and have specific instructions regarding follow-up.

Mistake 6        Failing to Conduct and Document Continuous Educational, Quality Assurance, and Risk Management Training of Staff

It is the duty of physicians to ensure that everyone working with them in their practice has appropriate training and experience. Policies and procedures to maintain an appropriate quality of care should be instituted. Physicians should appoint a person to be in charge of education and quality assurance. That person should maintain files and information regarding education and credentialing. This information should be maintained in the facility where the physicians practice.


Action Step     Physicians should ensure that all staff is being educated and that measures are being taken to ensure the quality of care.


Mistake 7        Failing to Refer to Specialists or Consultants

In many instances, general practitioners must decide whether to continue to treat a patient or refer the patient to a specialist. These practitioners should be mindful of the extent of their training, experience, board certification, and other credentials. Often, the failure to timely refer a patient to a specialist for an evaluation will result in a malpractice suit. In addition, the failure to refer to an appropriate specialist may be called into question. It is important that general practitioners be aware of their limitations and refer to or consult with a specialist when necessary.


Action Step     Physicians should recognize patients who may be in need of a referral and refer in a timely and appropriate fashion.


Mistake 8        Failing to Understand and Comply With State and Federal Laws

During recent years, scrutiny of the confidentiality of medical information has increased. There are both state and federal statutes governing this issue. It is important that practitioners be aware of these statutes and have protocols and procedures in place to ensure that their patients’ medical information is not being wrongfully disclosed. Many forms and educational opportunities are available to address the specific issues involved. Practitioners should take it upon themselves to ensure that they have all pertinent information with regard to the confidentiality of medical records and that all staff involved in dealing with the medical record are educated on this issue.


Action Step     Physicians should educate and supervise the staff on current laws and regulations regarding medical records. They should update their protocols and procedures accordingly.


Mistake 9        Failing to Exercise Professional Skill and Judgment

Practicing sound medicine with good clinical skill and judgment will prevent malpractice. Physicians must take the time to ensure that their clinical skills are up to the applicable standard of care, and they should continuously educate and update themselves on these skills. Attending seminars, participating in professional organizations, and keeping abreast of the pertinent literature are vital to staying ahead of the game in this litigious environment.


Action Step     Physicians should engage in continuous education and self-evaluation of their clinical skills.


Mistake 10      Continuing to Practice When Aware of a Disability That Impairs the Ability to Perform

Physicians who find themselves in a situation in which they are no longer able to practice due to an illness or disability must take themselves out of practice to avoid negligence. The standard of care requires that physicians be able to perform as would a reasonably prudent practitioner in the same or similar specialty. If any illness or disability affects that level of performance, then it is the physician’s responsibility to recognize that and remove himself or herself from the practice of medicine. In circumstances in which a disability arises, the risk of negligence is substantially increased. To avoid liability, the physician should take steps to remove himself or herself from the practice of medicine and arrange for a transfer of care of his or her patients to ensure that they are being provided continuous medical treatment.


Action Step     Physicians should recognize when they have an illness or disability that affects their ability to practice medicine and promptly provide alternative treatments for patients.



In certain instances, physicians can protect themselves from liability by ensuring that their entire office staff and referral network are competent, well trained, and educated. The careful selection and education of staff are as critical as the care being provided by the physicians. The ability to intelligently transfer risk can prevent claims.


Written by:

Anne M. Oldenburg, Esq.

Peer reviewed by:

Linda J. Hay, Esq.,

Download Free 646 Page E-book: The Biggest Legal Mistakes Physicians Make and How to Avoid Them